Where are the Business and Career Opportunities?
Perhaps people are looking in the wrong place for work. I hear about plenty of successful individuals and businesses, but increasingly, most have one thing in common: They are not following traditional employment pathways.
The keys are "Be different", "Be relevant to today and tomorrow", "Do things at the right time -being too early is just as bad as being too late"
Most people still have their mind set in the past when it comes to work.
The old idea of getting a university degree or apprenticeship, and having a guaranteed job simply does not work any more. If you can manage to push such prejudices aside and look at work in the context of a rapidly changing world, career opportunities can take on a whole new appearance.
I sawtwo interesting things in the media recently:
1. Quotes from "Whakademia" -a new book out of NSW University Press http://newsouthpublishing.com/articles/wrong-sort-knowledge/
## Materials data, kept here for reference
/*
Material: HgPd8Pt2
Method: DFT, PBE
State: optimized geometry

CIF file:
```
data_HgPd8Pt2
_symmetry_space_group_name_H-M 'P -1'
_symmetry_Int_Tables_number 2
_symmetry_space_group_name_Hall '-P 1'
_cell_length_a 4.8677
_cell_length_b 4.8906
_cell_length_c 7.4687
_cell_angle_alpha 96.04
_cell_angle_beta 90.51
_cell_angle_gamma 99.54
loop_
_atom_site_label
_atom_site_type_symbol
_atom_site_fract_x
_atom_site_fract_y
_atom_site_fract_z
Hg1 Hg 0.0000 0.0000 0.0000
Pd1 Pd 0.0922 0.5491 0.1874
Pd2 Pd 0.1851 0.0952 0.3697
Pd3 Pd 0.3687 0.1796 0.7260
Pd4 Pd 0.4511 0.7205 0.9063
Pt1 Pt 0.2714 0.6331 0.5464
```

Computed properties:
- energy above the lowest structure with this stoichiometry (meV/atom) = 0
- crystal system = triclinic
- energy of formation from the pure elements (eV/atom) = -0.05
- raw total energy (eV/atom) = -4.95


Material: MgCu2PRh
Method: DFT, PBE
State: optimized geometry

CIF file:
```
data_MgCu2PRh
_symmetry_space_group_name_H-M 'P 4/m m m'
_symmetry_Int_Tables_number 123
_symmetry_space_group_name_Hall '-P 4 2'
_cell_length_a 4.4240
_cell_length_b 4.4240
_cell_length_c 4.5668
_cell_angle_alpha 90.00
_cell_angle_beta 90.00
_cell_angle_gamma 90.00
loop_
_atom_site_label
_atom_site_type_symbol
_atom_site_fract_x
_atom_site_fract_y
_atom_site_fract_z
Mg1 Mg 0.0000 0.0000 0.0000
Cu1 Cu 0.0000 0.5000 0.0000
P1 P 0.5000 0.5000 0.5000
Rh1 Rh 0.0000 0.0000 0.5000
```

Computed properties:
- crystal system = tetragonal
- energy of formation from the pure elements (eV/atom) = 1.14
- raw total energy (eV/atom) = -3.37


Material: Ho3NiPb
Method: DFT, PBE
State: optimized geometry

CIF file:
```
data_Ho3NiPb
_symmetry_space_group_name_H-M 'P m m n'
_symmetry_Int_Tables_number 59
_cell_length_a 4.7016
_cell_length_b 6.7036
_cell_length_c 8.3838
_cell_angle_alpha 90.00
_cell_angle_beta 90.00
_cell_angle_gamma 90.00
loop_
_symmetry_equiv_pos_as_xyz
'x,y,z'
'-x,-y,-z'
'-x+1/2,-y+1/2,z'
'x+1/2,y+1/2,-z'
'x+1/2,-y,-z'
'-x+1/2,y,z'
'-x,y+1/2,-z'
'x,-y+1/2,z'
loop_
_atom_site_label
_atom_site_type_symbol
_atom_site_fract_x
_atom_site_fract_y
_atom_site_fract_z
Ho1 Ho 0.2500 0.0019 0.1519
Ho2 Ho 0.2500 0.7500 0.5846
Ni1 Ni 0.2500 0.7500 0.9003
Pb1 Pb 0.2500 0.2500 0.6592
```

Computed properties:
- energy above the lowest structure with this stoichiometry (meV/atom) = 0
- crystal system = orthorhombic
- energy of formation from the pure elements (eV/atom) = -0.36
- raw total energy (eV/atom) = -5.01
*/
"Academic experience: general disillusionment, over-regulation, stress, casualisation and a drift away from the profession."
== Calculated crystals that have nothing to do with the text ==
No. 1
# Na2PmBr5

Crystalline Na2PmBr5 at its relaxed geometry (PBE, the Alexandria database).

Properties
The calculated volume is 30.06 Å³ per atom. Its space group is No. 62. For the formation energy without anion corrections, the calculation gives -1.6946 eV per atom.

Cell: 8.4014 8.8850 12.8853 Å, 90.00 90.00 90.00°
Closest atoms and distances in Å follow each position.
Positions (direct):
Pm: 0.9142 0.7500 0.9923  7 Br 2.91-3.02
Pm: 0.0858 0.2500 0.0077  7 Br 2.91-3.02
Pm: 0.4142 0.2500 0.5077  7 Br 2.91-3.02
Pm: 0.5858 0.7500 0.4923  7 Br 2.91-3.02
Br: 0.1858 0.2500 0.7892  1 Pm 2.94, 2 Na 3.19
Br: 0.3142 0.2500 0.2892  1 Pm 2.94, 2 Na 3.19
Br: 0.6609 0.4529 0.4106  2 Pm 2.91-3.02, 1 Na 3.19
Br: 0.1609 0.9529 0.0894  2 Pm 2.91-3.02, 1 Na 3.19
Br: 0.6609 0.0471 0.4106  2 Pm 2.91-3.02, 1 Na 3.19
Br: 0.6374 0.2500 0.6822  1 Pm 2.93, 2 Na 3.06
Br: 0.6858 0.7500 0.7108  1 Pm 2.94, 2 Na 3.19
Br: 0.4411 0.2500 0.0106  1 Pm 2.99, 4 Na 3.23-3.26
Br: 0.8626 0.2500 0.1822  1 Pm 2.93, 2 Na 3.06
Br: 0.1609 0.5471 0.0894  2 Pm 2.91-3.02, 1 Na 3.19
Br: 0.8391 0.0471 0.9106  2 Pm 2.91-3.02, 1 Na 3.19
Br: 0.9411 0.7500 0.4894  1 Pm 2.99, 4 Na 3.23-3.26
Br: 0.1374 0.7500 0.8178  1 Pm 2.93, 2 Na 3.06
Br: 0.3391 0.5471 0.5894  2 Pm 2.91-3.02, 1 Na 3.19
Br: 0.8142 0.7500 0.2108  1 Pm 2.94, 2 Na 3.19
Br: 0.3391 0.9529 0.5894  2 Pm 2.91-3.02, 1 Na 3.19
Br: 0.5589 0.7500 0.9894  1 Pm 2.99, 4 Na 3.23-3.26
Br: 0.0589 0.2500 0.5106  1 Pm 2.99, 4 Na 3.23-3.26
Br: 0.3626 0.7500 0.3178  1 Pm 2.93, 2 Na 3.06
Br: 0.8391 0.4529 0.9106  2 Pm 2.91-3.02, 1 Na 3.19
Na: 0.4870 0.0103 0.8212  7 Br 3.06-3.33
Na: 0.0130 0.0103 0.3212  7 Br 3.06-3.33
Na: 0.5130 0.9897 0.1788  7 Br 3.06-3.33
Na: 0.9870 0.9897 0.6788  7 Br 3.06-3.33
Na: 0.5130 0.5103 0.1788  7 Br 3.06-3.33
Na: 0.0130 0.4897 0.3212  7 Br 3.06-3.33
Na: 0.9870 0.5103 0.6788  7 Br 3.06-3.33
Na: 0.4870 0.4897 0.8212  7 Br 3.06-3.33

=====

No. 2
# NaPmBr2

Crystalline NaPmBr2 at its relaxed geometry (PBE, the Alexandria database).

Properties
The calculated volume is 33.05 Å³ per atom. Its space group is No. 166. For the formation energy without anion corrections, the calculation gives -1.2078 eV per atom.

Cell: 3.8539 3.8539 10.5150 Å, 79.44 79.44 60.00°
Closest atoms and distances in Å follow each position.
Positions (direct):
Pm: 0.5000 0.5000 0.5000  6 Br 3.01
Br: 0.8989 0.8989 0.3032  3 Pm 3.01, 1 Na 3.12
Br: 0.1011 0.1011 0.6968  3 Pm 3.01, 1 Na 3.12
Na: 0.0000 0.0000 0.0000  2 Br 3.12

=====

No. 3
# Na3PmBr6

Crystalline Na3PmBr6 at its relaxed geometry (PBE, the Alexandria database).

Properties
The calculated volume is 32.90 Å³ per atom. Its space group is No. 146. For the formation energy without anion corrections, the calculation gives -1.6863 eV per atom.

Cell: 7.4949 7.4949 8.0287 Å, 62.18 62.18 60.00°
Closest atoms and distances in Å follow each position.
Positions (direct):
"Worrying is the demise of non-compliant academic eccentrics who have been largely displaced by acquiescent operatives."
"Despite all the talk about excellence, innovation, choice, opportunity and flexibility, it seems that many students graduating in business, journalism and other courses are less than job-ready."
This is worth a read!
2. There was also an interesting article in the Australian Magazine (in the Australian Newspaper on Saturday). Loretta Napoleoni - Economist answered 10 questions, and these were some of her comments:
- On the Chinese being better Capitalists than westerners: "They can get things done much quicker than us"
- On western politicians having lost control of their economies: "Politics in the west has turned into a form of show business"
- On the Australian workforce: "More jobs will go offshore to Asia, real wages in the west will decline, the middle classes will contract, trade unions will die, but there will be a growing class of super rich."
- On the future of debt laden economies: "Stimulis packages can work if focused on lifting the productive sector. Encouraging consumers to spend more and rack up debt is a terrible waste of money."
- On whether the Euro will survive: "No -Within the next three to four years there will be a severe contraction across the world economy."
I see these as further indicators of a massive restructuring of global society that is underway - perhaps on the scale of the industrial revolution - and the fact that most people are simply not recognising and adapting.
I think this situation presents us with fabulous opportunity; but also a challenge to create all new ways of doing things. Tweaking the existing political, economic and education systems will probably be insufficient.
Now is not a time to be working "within the system"; Now is the time to be creating new systems!
by John Mason
Crystal structures that have nothing to do with the text >
____________
(1)
First-principles (PBE) data for a relaxed RbPuWN4 crystal, as listed in the Alexandria database.

Output
Crystal system: monoclinic
Total DFT energy (no corrections) (eV/atom): -9.271

Unit cell a=5.9230 b=5.9687 c=7.8336 alpha=90.00 beta=104.20 gamma=90.00
With the nearest neighbours (Å) after each atom.
Space group P2_1/m (No. 11)
Asymmetric unit:
Rb  0.1396  0.2500  0.1039 x2  1 N 2.82
Pu  0.1776  0.7500  0.4639 x2  6 N 2.21-2.45
W  0.3698  0.2500  0.6644 x2  4 N 1.84-1.90
N  0.1579  0.0115  0.6657 x4  1 W 1.90
N  0.3079  0.7500  0.2225 x2  1 W 1.90
N  0.4350  0.2500  0.4465 x2  1 W 1.84


(2)
First-principles (PBE) data for a relaxed Th2Zn9Ga3 crystal, as listed in the Alexandria database.

Output
Crystal system: orthorhombic
Total DFT energy (no corrections) (eV/atom): -2.737
Energy relative to the elements (eV/atom): -0.21

Unit cell a=13.9387 b=7.9326 c=9.0850 alpha=90.00 beta=90.00 gamma=90.00
With the nearest neighbours (Å) after each atom.
Space group Cmcm (No. 63)
Asymmetric unit:
Th  0.1611  0.1619  0.2500 x8  10 Zn 3.12-3.35, 4 Ga 3.31-3.44
Zn  0.0000  0.1516  0.7500 x4  2 Ga 2.57, 6 Zn 2.60-2.74
Zn  0.0000  0.3395  0.0552 x8  5 Zn 2.73-2.83, 3 Ga 2.74-3.01
Zn  0.0934  0.4557  0.7500 x8  6 Zn 2.60-2.74, 2 Ga 2.68
Zn  0.1553  0.1892  0.5960 x16  4 Zn 2.60-2.83, 3 Ga 2.67-2.78
Ga  0.0000  0.0000  0.0000 x4  8 Zn 2.57-2.78
Ga  0.1923  0.5000  0.0000 x8  6 Zn 2.67-2.74


(3)
First-principles (PBE) data for a relaxed LaZrPb crystal, as listed in the Alexandria database.

Output
Crystal system: trigonal
Energy above the lowest structure with this stoichiometry (meV/atom): 361.4
Total DFT energy (no corrections) (eV/atom): -5.744
Energy relative to the elements (eV/atom): -0.02

Unit cell a=3.4720 b=3.4720 c=8.2700 alpha=90.00 beta=90.00 gamma=120.00
With the nearest neighbours (Å) after each atom.
Space group P3m1 (No. 156)
Asymmetric unit:
La  0.0000  0.0000  0.0000 x1  3 Zr 3.41, 6 La 3.47, 3 Pb 3.59
Zr  0.3333  0.6667  0.6671 x1  3 Pb 3.23, 3 La 3.41, 6 Zr 3.47
Pb  0.6667  0.3333  0.3602 x1  3 Zr 3.23, 6 Pb 3.47, 3 La 3.59


(4)
First-principles (PBE) data for a relaxed ReSnS2 crystal, as listed in the Alexandria database.

Output
Crystal system: trigonal
Total DFT energy (no corrections) (eV/atom): -6.292

Unit cell a=3.2534 b=3.2534 c=26.6885 alpha=90.00 beta=90.00 gamma=120.00
With the nearest neighbours (Å) after each atom.
Space group R-3m (No. 166, hexagonal axes)
Asymmetric unit:
Re  0.0000  0.0000  0.0000 x3  6 S 2.43
Sn  0.0000  0.0000  0.5000 x3  2 S 2.91, 6 Sn 3.25
S  0.0000  0.0000  0.3909 x6  3 Re 2.43


(5)
First-principles (PBE) data for a relaxed Sm6AlHg3 crystal, as listed in the Alexandria database.

Output
Crystal system: monoclinic
Total DFT energy (no corrections) (eV/atom): -3.629
Energy relative to the elements (eV/atom): -0.33

Unit cell a=9.4447 b=5.2812 c=11.7267 alpha=90.00 beta=106.34 gamma=90.00
With the nearest neighbours (Å) after each atom.
Space group P2_1/m (No. 11)
Asymmetric unit:
____________
The crystal structures stop here >
Principal and Publisher at ACS Distance Education www.acs.edu.au